使用 asp.net 和 IIS 在地理服务器中进行身份验证

Authenticate in geoserver with asp.net and iis

本文关键字:服务器 身份验证 net asp IIS 使用      更新时间:2023-09-26

我不知道这是否是一个愚蠢的问题,但是如何将 asp.net 身份验证与openlayers"结合"?

我创建了一个登录页面以在 openlayers(在 c# 中,服务器端)进行身份验证,这是我的代码

Uri uri = new Uri("http://"+username+":"+password+"@localhost:1979/geoserver/wms");
        if (uri.Scheme == Uri.UriSchemeHttp)
            HttpWebRequest request = (HttpWebRequest)HttpWebRequest.Create(uri);
            request.Method = WebRequestMethods.Http.Post;
            HttpWebResponse response = (HttpWebResponse)request.GetResponse();
            StreamReader reader = new StreamReader(response.GetResponseStream()); string tmp = reader.ReadToEnd();

我不知道这是否是解决我问题的正确方法,无论如何,如果我达到了我的目标(在地理服务器中使用用户名和密码进行身份验证),我如何将此身份验证与用户端的 openlayers 相结合(javascript)

**These quantum chemistry results were left in the article by mistake**
'''
(1)
Formula: C3H4N2S
Source: the OMol25 dataset
Level of theory: the ωB97M-V functional and the def2-TZVPD basis

Geometry as XYZ:
```
10
Properties=species:S:1:pos:R:3:forces:R:3
C -0.499305 0.375215 0.007604 1.4 -1.8 -0.8
C -0.283350 0.328135 1.372225 2.0 -1.9 3.9
C 0.284498 -0.695784 -0.844647 -1.5 0.6 -0.2
N -1.286583 1.225904 -0.453654 -2.3 2.2 -3.3
N 0.146121 0.053369 2.456590 -0.2 0.4 -0.8
S -0.978102 -1.834736 -1.399700 0.0 0.0 0.3
H 0.598195 -0.034725 -1.647922 0.6 -0.3 -0.3
H 1.067722 -1.253930 -0.363804 0.5 0.4 0.4
H -1.445691 1.193940 -1.547389 0.8 -0.2 2.8
H 0.816978 -0.110280 3.262698 -1.3 0.6 -2.0
```
Forces are in eV/Å.

**Energy above the lowest of the compared OMol25 structures with the same formula, charge and spin**: 480.89 kJ/mol
**Net charge**: 0
**Highest occupied orbital energy (spin up / spin down)**: -8.1153 / -6.7738 eV
**2S+1**: 1
**Gap between HOMO and LUMO (spin up / spin down)**: 7.5 / 4.9 eV
**LUMO level (spin up / spin down)**: -0.61 / -1.86 eV

(2)
Formula: C3H4N2S2
Source: the OMol25 dataset
Level of theory: the ωB97M-V functional and the def2-TZVPD basis

Geometry as XYZ:
```
11
Properties=species:S:1:pos:R:3:forces:R:3
C 1.098662 0.573895 -0.446563 -0.4 -0.4 -0.2
C 1.148249 -0.731437 -0.773484 -0.2 -0.4 0.3
C -0.788961 -0.417245 0.315380 -1.5 1.0 0.8
H -1.772266 1.703208 1.326594 0.2 0.0 -0.1
H 1.767369 1.385829 -0.623738 0.3 0.1 -0.2
H 1.867252 -1.298016 -1.325208 0.3 0.0 0.0
H -0.216162 -2.288628 -0.214839 -0.3 -1.4 -0.1
N -0.106970 0.781759 0.191438 -0.5 -1.0 0.3
N -0.017866 -1.334006 -0.273793 1.4 1.8 -0.6
S -0.655683 2.281488 0.791286 -0.3 0.1 0.2
S -2.323624 -0.656847 1.032927 1.1 0.3 -0.4
```
Forces are in eV/Å.

**Energy above the lowest of the compared OMol25 structures with the same formula, charge and spin**: 73.15 kJ/mol
**Net charge**: 0
**Highest occupied orbital energy**: -7.8387 eV
**SMILES**: S=c1[nH]ccn1S
**2S+1**: 1
**Gap between HOMO and LUMO**: 8.4 eV
**LUMO level**: 0.60 eV

(3)
Formula: C3H4N2S2
Source: the OMol25 dataset
Level of theory: the ωB97M-V functional and the def2-TZVPD basis

Geometry as XYZ:
```
11
Properties=species:S:1:pos:R:3:forces:R:3
C -0.705885 1.210414 0.092933 1.3 -0.3 -1.2
C -2.055922 0.938501 0.397013 1.0 0.6 0.3
C 0.095687 0.568068 1.013581 1.7 0.6 0.6
N -2.291745 0.367960 1.517160 -0.2 -1.4 2.2
N 2.412883 -2.503607 -1.628341 -0.5 0.4 0.7
S -0.871419 -0.033740 2.282487 -0.4 0.1 -0.9
S 2.450368 -0.945478 -1.583311 0.3 -0.9 -0.4
H -0.361465 1.769756 -0.813776 -0.3 -0.8 1.0
H -2.922719 1.166312 -0.124070 -1.2 0.8 -1.4
H 3.014077 -3.006590 -2.280529 0.3 0.5 -0.3
H 1.236141 0.468403 1.126854 -2.1 0.4 -0.5
```
Forces are in eV/Å.

**Energy above the lowest of the compared OMol25 structures with the same formula, charge and spin**: 296.25 kJ/mol
**Net charge**: 0
**Highest occupied orbital energy (spin up / spin down)**: -8.8255 / -8.8235 eV
**2S+1**: 1
**Gap between HOMO and LUMO (spin up / spin down)**: 7.4 / 7.4 eV
'''


要从 javascript 端向 geoserever 进行身份验证,您必须向地理服务器 autentication servlet(j_spring_security_check) 发帖。尝试使用此登录功能:

     function login (options) {
    // url del servlet del geoserver
    var url = options.server + "/geoserver/j_spring_security_check";
    // parametros para el login
    params = "username=" + options["user"] + "&password="
                + options["password"];
    var contentType = "application/x-www-form-urlencoded";
    //se inicializa la petición ajax
    var ajax = $.ajax({
        data : params,
        type : "POST",
        contentType : contentType,
        url : url
    // se ejecuta cuando la peticion finaliza
    ajax.done(function() {
        if ($.cookie("JSESSIONID") != null && options && options.success) {
    // si ocurrio un error al realizar la peticion
    ajax.fail(function(data) {
        if (options && options.failure) {
    // se ejecuta siempre al final de la petición, sin importar que esta
    // haya fallado
    ajax.always(function() {
        if (options && options.always) {


    user:"admin" //geoserver user
    password: "adminPassword", 
    server : "", //geoserver host
    success : function(){
        alert("Login OK!");
    failure : function(){
        alert("Login fail!");

(The page is interrupted by calculated molecules)
____________
No. 1
Computed, not measured: a structure of composition C42H57BrIrN3, with ωB97M-V/def2-TZVPD.

Structure (XYZ):
```
104
Properties=species:S:1:pos:R:3:forces:R:3
Ir 0.4372 -0.1253 0.4311 -0.026 -0.325 -0.106
C -1.2502 1.0036 1.5277 -0.133 0.067 -0.082
C -1.2825 -0.1272 2.3948 0.114 -0.032 -0.090
C -1.6924 -1.2545 1.5494 0.040 0.001 0.194
C -1.7053 -0.7792 0.1952 0.128 0.114 -0.033
C -1.7107 0.6455 0.2152 -0.233 0.117 -0.029
C -2.5233 1.4545 -0.7747 0.155 -0.030 0.049
C -3.9798 1.0275 -0.4893 -0.047 -0.006 -0.014
C -2.4050 2.9518 -0.5343 -0.054 0.003 -0.033
C -2.1798 1.0929 -2.2207 -0.025 0.027 0.040
C -2.4367 -2.5554 1.8769 0.084 0.070 -0.110
C -1.5603 -3.7474 2.2663 -0.057 0.013 -0.011
C -3.4696 -2.2332 2.9704 0.007 -0.048 -0.010
C -3.2275 -3.0126 0.6374 -0.010 -0.047 0.022
C -1.0142 0.0669 3.8831 -0.040 -0.023 -0.042
C -0.7439 -1.2125 4.6915 -0.060 -0.034 -0.021
C 0.2036 0.9936 4.0357 -0.029 0.060 -0.014
C -2.2357 0.8018 4.4730 -0.001 -0.005 0.050
H -1.1153 2.0222 1.8547 0.044 0.015 -0.032
H -2.0323 -1.3546 -0.6528 -0.006 -0.006 0.033
H -4.2331 1.1352 0.5666 0.003 0.018 0.035
H -4.1646 -0.0039 -0.7911 0.005 -0.021 0.001
H -4.6480 1.6713 -1.0599 -0.030 0.003 -0.021
H -2.7819 3.2294 0.4514 -0.010 -0.001 0.045
H -3.0055 3.4812 -1.2735 -0.030 0.018 -0.005
H -1.3833 3.2948 -0.6295 0.079 0.026 -0.027
H -2.1365 0.0136 -2.3719 -0.012 -0.028 -0.034
H -1.2314 1.5287 -2.5231 0.098 0.026 -0.009
H -2.9536 1.4818 -2.8819 -0.001 0.024 -0.022
H -0.9446 -3.5833 3.1426 0.024 0.035 0.059
H -0.9232 -4.0284 1.4320 -0.031 0.012 -0.002
H -2.2167 -4.5904 2.4821 -0.023 -0.028 0.018
H -3.0204 -2.1331 3.9509 0.052 0.036 0.067
H -4.1850 -3.0540 3.0146 0.006 -0.024 0.037
H -4.0311 -1.3264 2.7419 -0.015 0.023 -0.034
H -2.5742 -3.3137 -0.1825 0.026 -0.022 -0.013
H -3.9211 -2.2513 0.2812 -0.036 0.031 0.006
H -3.8134 -3.8859 0.9172 -0.025 -0.028 -0.012
H -0.4586 -2.0458 4.0641 0.001 0.013 -0.047
H -1.6074 -1.5104 5.2817 -0.032 -0.029 -0.006
H 0.0728 -1.0466 5.3918 -0.003 0.012 0.035
H 1.0801 0.6035 3.5118 0.015 -0.045 0.005
H 0.4488 1.0854 5.0920 0.001 0.024 0.038
H -0.0050 1.9940 3.6644 0.024 0.002 0.012
H -3.1306 0.1828 4.4389 -0.015 -0.003 -0.012
H -2.4406 1.7347 3.9464 0.010 0.026 -0.016
H -2.0357 1.0443 5.5169 0.004 -0.006 0.027
C 1.4820 1.5894 -2.6645 -0.116 0.016 -0.030
C 1.0310 2.7390 -1.8032 0.000 0.007 -0.107
C 0.6179 3.9327 -2.3783 0.021 0.014 0.014
C 0.3464 5.0430 -1.5905 -0.004 -0.035 -0.001
C 0.4752 4.9639 -0.2154 -0.042 -0.066 -0.014
C 0.8652 3.7784 0.4039 0.012 0.022 -0.014
C 1.0524 3.7661 1.8962 -0.012 -0.024 -0.016
C 1.1251 2.6757 -0.4110 0.112 -0.146 0.136
N 1.7049 1.4615 0.1426 0.136 0.201 0.100
C 3.0083 1.5168 0.3230 -0.040 0.002 -0.106
C 3.7435 2.8180 0.1111 -0.086 -0.063 -0.002
C 3.4426 -0.9499 0.2787 -0.217 0.032 -0.140
C 4.3072 -1.8913 1.1131 0.090 -0.306 -0.082
N 2.0159 -1.2190 0.5076 -0.018 -0.081 0.279
C 1.5550 -2.5744 0.4736 0.002 0.080 -0.025
C 1.1223 -3.1691 -0.7404 0.004 0.015 0.056
C 0.8687 -2.4165 -2.0201 -0.042 0.026 -0.020
____________
(End of the calculated molecules)

由于某种原因,GeoServer 在 2.7 之后无法正确处理身份验证直通。因此,我添加了一种从服务器上的页面方法登录并将身份验证cookie保存在会话变量中的方法。不漂亮,但它有效。

            'Post a login request to GS.
        Dim myCookies As String = ""
        Dim Method As String = "POST"
        Dim HttpWRequest As System.Net.HttpWebRequest = CType(WebRequest.Create("https://" & GSServer & "/geoserver/j_spring_security_check"), HttpWebRequest)
        Dim PostData As String = "username=" + UID + "&password=" + PWD
        HttpWRequest.KeepAlive = False
        HttpWRequest.Headers.Set("Pragma", "no-cache")
        'HttpWRequest.Headers.Set("Translate", "f")
        HttpWRequest.ContentType = "text/xml"
        HttpWRequest.ContentLength = PostData.Length
        'This is important, otherwise j_spring security check does an immediate redirect, and the cookie is lost.
        HttpWRequest.AllowAutoRedirect = False
        If String.IsNullOrEmpty(UID) = False Then
            HttpWRequest.Credentials = New NetworkCredential(UID, PWD)
        End If
        If String.IsNullOrEmpty(myCookies) = False Then
            HttpWRequest.Headers("Cookie") = myCookies
        End If
        'Set the request timeout to 5 minutes.
        HttpWRequest.Timeout = 300000
        ' set the request method
        HttpWRequest.Method = Method
        If Method = "POST" Or Method = "PUT" Then
            ' Store the data in a byte array.
            Dim ByteQuery() As Byte = System.Text.Encoding.ASCII.GetBytes(PostData)
            HttpWRequest.ContentLength = ByteQuery.Length
            Dim QueryStream As Stream = Nothing
                QueryStream = HttpWRequest.GetRequestStream()
            Catch e As Exception
                Throw New ArgumentException("Couldn't log into GeoServer.")
            End Try
            ' Write the data to be posted to the Request stream.
            QueryStream.Write(ByteQuery, 0, ByteQuery.Length)
        End If
        ' Send the request and get a response.
        Dim HttpWResponse As HttpWebResponse
            HttpWResponse = HttpWRequest.GetResponse()
        Catch e As Exception
            Throw New ArgumentException("Couldn't log into GeoServer.")
        End Try
        ' Get the Response stream.
        Dim strm As Stream = HttpWResponse.GetResponseStream()
        ' Read the Response stream.
        Dim sr As StreamReader = New StreamReader(strm)
        Dim sText As String = sr.ReadToEnd()

        ' Close the stream.
        myCookies = HttpWResponse.GetResponseHeader("Set-Cookie")
        HttpContext.Current.Session("GeoServerSessionID") = myCookies
        ' Clean up.
        HttpWRequest = Nothing
        HttpWResponse = Nothing
        If sText.Contains("Invalid username/password combination") Or String.IsNullOrEmpty(myCookies) Then
            Throw New ArgumentException("Couldn't log into GeoServer.")
        End If